Assignment =
What is needed: repeat the lines underneath up to the one that holds "2.333906 -1.849149", that line included.
Data =
____________
Computed, not measured: 6 unconnected molecules or ions with the total composition H12O6 at a distorted geometry, with the ωB97M-V functional and the def2-TZVPD basis.

Computed properties:
Gap between HOMO and LUMO   11.0233 eV
Energy relative to the best compared isomer or geometry (same formula, charge and spin)   62.6 kcal/mol
SMILES   O.O.O.O.O.O
HOMO   -10.86 eV

Element x y z (Å)
H 0.395614 2.893190 -1.251671
H 2.540922 -3.245164 1.009407
O 1.650207 -3.054180 0.900939
H -3.722848 -3.027377 0.672371
H -1.208631 4.054261 -2.222204
H 1.265367 3.300457 -0.131761
O 0.793267 2.480077 -0.476750
H -1.686503 2.565599 -2.330712
H 2.669711 0.694535 1.762882
H -3.186527 -1.729311 -0.192388
H 1.221180 -3.182955 1.744121
O -3.306157 -2.703080 -0.219887
H 0.287138 -0.688521 -0.891751
H -0.788433 0.278337 -1.432626
O 2.965293 -0.042047 2.326149
O -0.577573 -0.296730 -0.785015
O -1.700572 3.306548 -1.687711
H 3.617302 0.562247 2.802541

Force components x, y, z for each atom (eV/Å):
-0.507 -0.452 -0.007
2.518 -0.490 0.483
-2.519 0.549 -0.838
1.279 1.424 -2.596
-1.667 -2.058 1.554
-0.676 -1.743 -0.217
1.436 2.158 0.507
-0.214 0.571 0.525
-0.741 -0.810 -0.467
-0.113 -0.980 0.408
-0.013 0.011 0.282
-1.097 -0.461 2.185
0.186 0.146 -0.305
-0.466 2.787 -3.327
1.506 2.559 0.657
0.185 -3.080 3.749
1.687 1.652 -2.395
-0.783 -1.785 -0.197

Here are the Mulliken charges for atoms 1 to 4, given in e:
1. H 0.267
2. H 0.290
3. O -0.595
4. H 0.322

Computed, not measured: Cl2H4Si3 in the gas phase at a distorted geometry, with the ωB97M-V functional and the def2-TZVPD basis.

Computed properties:
Gap between HOMO and LUMO   6.7377 eV
Energy relative to the best compared isomer or geometry (same formula, charge and spin)   36.5 kcal/mol
HOMO   -8.77 eV

Element x y z (Å)
Si -2.049352 0.647391 0.284358
H 2.777825 -0.050445 -1.707745
Si 0.150223 -0.343328 0.815968
Cl -3.205992 -0.964228 0.199795
Cl 3.236928 0.333843 0.645857
H -2.563682 1.264913 1.580111
H 2.333906 -1.849149 -0.455313
H -2.610580 1.500412 -0.726008
Si 1.930727 -0.539408 -0.637027

Force components x, y, z for each atom (eV/Å):
0.828 1.318 1.539
-0.743 0.167 -1.405
-1.094 0.197 0.348
-0.897 -2.016 -0.240
0.752 1.050 1.834
0.658 -0.055 -0.475
0.117 -2.419 -0.026
0.214 0.578 -0.842
0.165 1.179 -0.732

Here are the Mulliken charges for atoms 1 to 4, given in e:
1. Si 0.420
2. H -0.138
3. Si 0.117
4. Cl -0.226

Computed, not measured: a molecular structure, C26H37CoN7O2PS2, with the ωB97M-V functional and the def2-TZVPD basis.

Computed properties:
Spin multiplicity   6
Gap between HOMO and LUMO (alpha / beta)   8.1233 / 6.4955 eV
Energy relative to the best compared isomer or geometry (same formula, charge and spin)   16.6 kcal/mol
Total charge   +1
HOMO (alpha / beta)   -10.01 / -10.70 eV

Element x y z (Å)
C 5.777977 0.106349 -1.273173
C -0.854012 -4.112725 -0.283756
H -1.844974 -2.259135 0.322105
H -0.561657 3.843068 -3.979297
H -3.887340 -2.556601 -2.804773
C -0.675928 3.268673 1.246172
H -1.238146 2.499393 -0.590696
N 0.488837 -4.473390 0.170711
N -1.626786 2.507679 3.432410
H 1.303979 -4.301704 -1.737682
H 1.693915 -4.185037 1.845613
C -0.535087 0.606957 3.678354
H 0.327911 3.466884 -1.807698
H -3.807513 -1.925640 -1.147904
H 6.774893 -0.133616 -1.617137
N 2.848867 2.324346 -1.747877
H 5.467119 1.628014 -2.764641
C 5.263079 -0.549594 -0.140099
H -0.227698 -1.659975 6.140402
C -1.032618 -2.575637 -0.332709
C 1.459019 -3.872518 -0.747724
O -1.683523 1.872298 -2.468622
H -2.214976 3.311656 3.572772
H 0.715810 -1.137514 3.926330
H 1.085129 4.032097 -0.326879
H 5.883649 -1.264825 0.382468
H 3.618598 -0.751533 1.227413
H -2.709479 1.843335 6.025249
H -1.011884 -4.547240 -1.270856
C -0.581657 -0.794073 5.597457
H -2.028553 4.169893 -4.900826
O -2.196841 -0.577742 -2.904627
H 0.188826 3.883481 1.500303
C 5.054607 1.081659 -1.927110
N 1.933282 1.146008 -0.104403
C -1.650280 3.767919 -3.959716
C 3.222463 0.643671 -0.374849
H -5.259732 -1.679250 -2.118511
H 2.460407 -4.156838 -0.421509
____________
Outcome =
Computed, not measured: 6 unconnected molecules or ions with the total composition H12O6 at a distorted geometry, with the ωB97M-V functional and the def2-TZVPD basis.

Computed properties:
Gap between HOMO and LUMO   11.0233 eV
Energy relative to the best compared isomer or geometry (same formula, charge and spin)   62.6 kcal/mol
SMILES   O.O.O.O.O.O
HOMO   -10.86 eV

Element x y z (Å)
H 0.395614 2.893190 -1.251671
H 2.540922 -3.245164 1.009407
O 1.650207 -3.054180 0.900939
H -3.722848 -3.027377 0.672371
H -1.208631 4.054261 -2.222204
H 1.265367 3.300457 -0.131761
O 0.793267 2.480077 -0.476750
H -1.686503 2.565599 -2.330712
H 2.669711 0.694535 1.762882
H -3.186527 -1.729311 -0.192388
H 1.221180 -3.182955 1.744121
O -3.306157 -2.703080 -0.219887
H 0.287138 -0.688521 -0.891751
H -0.788433 0.278337 -1.432626
O 2.965293 -0.042047 2.326149
O -0.577573 -0.296730 -0.785015
O -1.700572 3.306548 -1.687711
H 3.617302 0.562247 2.802541

Force components x, y, z for each atom (eV/Å):
-0.507 -0.452 -0.007
2.518 -0.490 0.483
-2.519 0.549 -0.838
1.279 1.424 -2.596
-1.667 -2.058 1.554
-0.676 -1.743 -0.217
1.436 2.158 0.507
-0.214 0.571 0.525
-0.741 -0.810 -0.467
-0.113 -0.980 0.408
-0.013 0.011 0.282
-1.097 -0.461 2.185
0.186 0.146 -0.305
-0.466 2.787 -3.327
1.506 2.559 0.657
0.185 -3.080 3.749
1.687 1.652 -2.395
-0.783 -1.785 -0.197

Here are the Mulliken charges for atoms 1 to 4, given in e:
1. H 0.267
2. H 0.290
3. O -0.595
4. H 0.322

Computed, not measured: Cl2H4Si3 in the gas phase at a distorted geometry, with the ωB97M-V functional and the def2-TZVPD basis.

Computed properties:
Gap between HOMO and LUMO   6.7377 eV
Energy relative to the best compared isomer or geometry (same formula, charge and spin)   36.5 kcal/mol
HOMO   -8.77 eV

Element x y z (Å)
Si -2.049352 0.647391 0.284358
H 2.777825 -0.050445 -1.707745
Si 0.150223 -0.343328 0.815968
Cl -3.205992 -0.964228 0.199795
Cl 3.236928 0.333843 0.645857
H -2.563682 1.264913 1.580111
H 2.333906 -1.849149 -0.455313